Given =
********
(1)
ORCA calculation (the ωB97M-V functional and the def2-TZVPD basis) on C18H18Cl2NO6SV as an isolated structure in a non-equilibrium geometry.

Results
Net charge: +1
ΔE to the lowest compared entry with this formula, charge and spin (kcal per mole): 66.2
Highest occupied orbital energy (alpha / beta) (eV): -12.270 / -12.270
Frontier orbital gap (alpha / beta) (Ha): 0.26140 / 0.24518
Total energy (eV): -94292.8250
2S+1: 2

Last column: Löwdin spin population.
Atoms and positions in Å:
V  -2.03370  0.69964  0.62267  0.97
Cl  -1.76689  -5.62387  3.71552  0.00
C  -2.01264  -4.03009  3.14327  0.00
C  -2.86277  -3.17693  3.86031  0.02
C  -3.08507  -1.88879  3.41123  0.00
Cl  -4.09500  -0.77591  4.23086  0.00
C  -2.45463  -1.43332  2.23726  0.01
O  -2.63038  -0.25690  1.73907  -0.02
C  -1.56384  -2.29345  1.52205  0.00
C  -0.92734  -1.78008  0.35576  0.07
O  -1.02485  -0.58445  -0.03479  -0.01
C  -1.36839  -3.60434  1.99533  0.02
H  -3.34714  -3.52910  4.75797  0.00
H  -0.31438  -2.45719  -0.24986  0.00
H  -0.70514  -4.27346  1.47367  0.00
C  3.27218  -2.96294  -1.42639  0.00
C  2.93755  -1.51108  -1.30712  0.00
C  3.38542  -0.58558  -2.24847  0.00
C  3.05964  0.75447  -2.12985  0.00
C  2.27050  1.16639  -1.07200  0.00
C  1.84406  0.27631  -0.10212  0.00
C  2.18695  -1.05976  -0.22089  0.00
S  1.77416  2.87759  -1.00197  0.00
O  0.78557  3.02330  0.04334  0.00
O  2.89189  3.75737  -1.03247  0.00
N  0.99955  3.03233  -2.50151  0.00
C  -0.34797  2.53682  -2.52537  0.00
C  -1.37723  3.52063  -1.91885  0.00
C  -2.53996  2.74472  -1.34718  0.00
O  -3.67735  2.77319  -1.72973  0.00
O  -2.18030  1.92931  -0.37133  -0.01
H  3.79961  -3.16818  -2.35293  0.00
H  2.37270  -3.57745  -1.39006  0.00
H  3.90732  -3.26411  -0.59424  0.00
H  4.00047  -0.91686  -3.07216  0.00
H  3.40702  1.48843  -2.83922  0.00
H  1.26466  0.64374  0.73616  0.00
H  1.88367  -1.76434  0.54267  0.00
H  1.12105  3.94689  -2.91314  0.00
H  -0.33094  1.60739  -1.93863  0.00
H  -0.63230  2.30385  -3.55609  0.00
H  -1.73197  4.23373  -2.66354  0.00
H  -0.89956  4.05096  -1.08903  0.00
C  -0.93645  1.65651  2.11764  -0.04
H  -0.30904  2.42376  1.66597  0.00
H  -0.32306  0.95455  2.68566  0.00
H  -1.68565  2.11632  2.77252  0.00


(2)
ORCA calculation (the ωB97M-V functional and the def2-TZVPD basis) on C34H26Br2NO2PS3Y as an isolated structure in a non-equilibrium geometry.

Results
Net charge: +1
ΔE to the lowest compared entry with this formula, charge and spin (kcal per mole): 3.9
Highest occupied orbital energy (eV): -10.584
Frontier orbital gap (Ha): 0.28572
Total energy (eV): -224188.6171

Last column: Mulliken charge in e.
Atoms and positions in Å:
Y  -0.58283  0.66811  -0.14785  0.46
C  2.72301  1.26761  1.39357  -0.87
C  1.59884  1.43956  2.36487  0.61
C  1.85954  1.90600  3.66637  -1.19
C  0.84469  2.01716  4.57081  -0.83
C  -0.47188  1.68074  4.19501  0.55
C  -1.59463  1.75665  5.05054  -0.08
Br  -1.38351  2.29277  6.85428  -0.19
C  -2.84312  1.45545  4.59012  -0.42
C  -3.03047  1.07338  3.25643  -0.16
Br  -4.78386  0.76911  2.62571  -0.13
C  -1.98009  0.97771  2.35977  0.73
O  -2.15275  0.65226  1.08560  -1.15
C  -0.66979  1.25981  2.85959  0.22
N  0.37308  1.12632  1.97443  0.65
H  3.67171  1.13549  1.91088  0.56
H  2.79737  2.16259  0.77389  0.25
H  2.55331  0.40668  0.74519  -0.09
H  2.87479  2.16043  3.93627  0.51
H  1.03960  2.35437  5.57947  0.40
H  -3.70022  1.53206  5.24421  0.46
O  -0.18323  -1.45886  0.25120  -0.43
S  -1.12952  -2.08896  1.28168  0.11
C  -0.81965  -3.84977  1.20971  0.64
C  -0.47846  -4.46848  0.01863  -0.41
C  -0.28557  -5.83939  0.01430  -0.76
C  -0.44312  -6.57147  1.18540  -0.46
C  -0.78193  -5.93571  2.37142  -0.75
C  -0.96313  -4.56134  2.39126  -0.16
C  -2.72321  -2.10817  0.44836  0.91
C  -2.83603  -1.65435  -0.85579  0.01
C  -4.09303  -1.57509  -1.43526  -0.87
C  -5.21016  -1.98222  -0.71942  -0.58
C  -5.07759  -2.46465  0.57430  -0.68
C  -3.82935  -2.51100  1.17407  -0.79
H  -0.36878  -3.88324  -0.88644  0.37
********

To do =
Start at the top of the calculation results further up and restate each line, ending with the one that has "0.07".

Outcome =
(1)
ORCA calculation (the ωB97M-V functional and the def2-TZVPD basis) on C18H18Cl2NO6SV as an isolated structure in a non-equilibrium geometry.

Results
Net charge: +1
ΔE to the lowest compared entry with this formula, charge and spin (kcal per mole): 66.2
Highest occupied orbital energy (alpha / beta) (eV): -12.270 / -12.270
Frontier orbital gap (alpha / beta) (Ha): 0.26140 / 0.24518
Total energy (eV): -94292.8250
2S+1: 2

Last column: Löwdin spin population.
Atoms and positions in Å:
V  -2.03370  0.69964  0.62267  0.97
Cl  -1.76689  -5.62387  3.71552  0.00
C  -2.01264  -4.03009  3.14327  0.00
C  -2.86277  -3.17693  3.86031  0.02
C  -3.08507  -1.88879  3.41123  0.00
Cl  -4.09500  -0.77591  4.23086  0.00
C  -2.45463  -1.43332  2.23726  0.01
O  -2.63038  -0.25690  1.73907  -0.02
C  -1.56384  -2.29345  1.52205  0.00
C  -0.92734  -1.78008  0.35576  0.07